Work order:
Your job: type out everything further down unchanged.

Source:
-- begin --
# 1
C3HBrClNO | ωB97M-V/def2-TZVPD

```
8
C3HBrClNO ωB97M-V/def2-TZVPD
C -0.980 0.659 0.060
C -0.481 -1.584 -0.496
C 1.299 0.450 -0.013
N -1.101 -0.607 -0.072
O 0.255 1.225 0.135
Cl -0.027 -2.994 0.209
Br 2.844 1.515 0.062
H -1.808 1.334 0.116
```

Summary:
energy above the lowest of the compared OMol25 structures with the same formula, charge and spin = 426.6 kJ/mol
HOMO-LUMO gap (spin up / spin down) = 0.2852 / 0.2851 Ha

# 2
C2H2I2S2 | ωB97M-V/def2-TZVPD

```
8
C2H2I2S2 ωB97M-V/def2-TZVPD
C 0.059 0.772 -0.766
C 0.325 -0.607 -0.418
S 0.458 1.799 -1.880
S 1.294 -0.484 1.185
I -2.082 1.441 1.082
I -1.415 -1.909 -0.237
H 1.015 -1.291 -0.993
H 0.346 0.280 2.027
```

Summary:
energy above the lowest of the compared OMol25 structures with the same formula, charge and spin = 149.4 kJ/mol
HOMO-LUMO gap (spin up / spin down) = 0.2380 / 0.2415 Ha

Question: The lowest energy above the lowest of the compared OMol25 structures with the same formula, charge and spin belongs to which entry?
Answer: C2H2I2S2

Please write out number 2 again, unchanged.
C2H2I2S2 | ωB97M-V/def2-TZVPD

```
8
C2H2I2S2 ωB97M-V/def2-TZVPD
C 0.059 0.772 -0.766
C 0.325 -0.607 -0.418
S 0.458 1.799 -1.880
S 1.294 -0.484 1.185
I -2.082 1.441 1.082
I -1.415 -1.909 -0.237
H 1.015 -1.291 -0.993
H 0.346 0.280 2.027
```

Summary:
energy above the lowest of the compared OMol25 structures with the same formula, charge and spin = 149.4 kJ/mol
HOMO-LUMO gap (spin up / spin down) = 0.2380 / 0.2415 Ha

Question: Which formula does entry 1 have?
Answer: C3HBrClNO
-- stop --

Here it is:
# 1
C3HBrClNO | ωB97M-V/def2-TZVPD

```
8
C3HBrClNO ωB97M-V/def2-TZVPD
C -0.980 0.659 0.060
C -0.481 -1.584 -0.496
C 1.299 0.450 -0.013
N -1.101 -0.607 -0.072
O 0.255 1.225 0.135
Cl -0.027 -2.994 0.209
Br 2.844 1.515 0.062
H -1.808 1.334 0.116
```

Summary:
energy above the lowest of the compared OMol25 structures with the same formula, charge and spin = 426.6 kJ/mol
HOMO-LUMO gap (spin up / spin down) = 0.2852 / 0.2851 Ha

# 2
C2H2I2S2 | ωB97M-V/def2-TZVPD

```
8
C2H2I2S2 ωB97M-V/def2-TZVPD
C 0.059 0.772 -0.766
C 0.325 -0.607 -0.418
S 0.458 1.799 -1.880
S 1.294 -0.484 1.185
I -2.082 1.441 1.082
I -1.415 -1.909 -0.237
H 1.015 -1.291 -0.993
H 0.346 0.280 2.027
```

Summary:
energy above the lowest of the compared OMol25 structures with the same formula, charge and spin = 149.4 kJ/mol
HOMO-LUMO gap (spin up / spin down) = 0.2380 / 0.2415 Ha

Question: The lowest energy above the lowest of the compared OMol25 structures with the same formula, charge and spin belongs to which entry?
Answer: C2H2I2S2

Please write out number 2 again, unchanged.
C2H2I2S2 | ωB97M-V/def2-TZVPD

```
8
C2H2I2S2 ωB97M-V/def2-TZVPD
C 0.059 0.772 -0.766
C 0.325 -0.607 -0.418
S 0.458 1.799 -1.880
S 1.294 -0.484 1.185
I -2.082 1.441 1.082
I -1.415 -1.909 -0.237
H 1.015 -1.291 -0.993
H 0.346 0.280 2.027
```

Summary:
energy above the lowest of the compared OMol25 structures with the same formula, charge and spin = 149.4 kJ/mol
HOMO-LUMO gap (spin up / spin down) = 0.2380 / 0.2415 Ha

Question: Which formula does entry 1 have?
Answer: C3HBrClNO